ESR Financial control measures apply to a specific list of officials of business entities more than 50 percent of whose authorized capital stock is owned by the state or municipality
Problem solving:
1.4.1. Legislative regulation that categorizes specific individuals as declarants is flawed, which limits the potential of financial control instruments.
Deadlines for all measures within ESR
01.03.2023 -
Implementation of SACP measures within ESR
Total number of measures –
# Attached: data records
-- begin --
1.
{"formula": "C7H21N3P", "method": "the ωB97M-V functional and the def2-TZVPD basis", "total_charge": 1, "e_above_lowest_ev": 1.573, "total_energy_ev": -21347.8525, "homo_lumo_gap_ev": 7.446, "homo_energy_ha": -0.3876, "elements": ["C", "C", "C", "C", "C", "C", "C", "N", "N", "N", "P", "H", "H", "H", "H", "H", "H", "H", "H", "H", "H", "H", "H", "H", "H", "H", "H", "H", "H", "H", "H", "H"], "coordinates": [[-0.92, 2.36, 0.56], [-3.13, 1.90, -0.27], [-3.36, -1.27, -0.75], [-1.70, -2.27, 0.86], [3.65, -1.03, -1.11], [3.68, 1.15, 0.17], [-1.68, 0.06, 0.50], [-1.87, 1.31, 0.28], [-2.36, -1.09, 0.29], [3.20, -0.22, 0.06], [1.35, -0.29, 0.73], [-0.73, 2.75, -0.48], [-1.49, 3.15, 1.17], [0.00, 2.00, 0.98], [-3.62, 1.14, -0.85], [-3.88, 2.02, 0.62], [-2.79, 2.82, -0.74], [-4.48, -1.05, -0.49], [-3.28, -0.73, -1.63], [-3.30, -2.30, -0.96], [-2.52, -2.95, 0.93], [-0.91, -2.59, 0.16], [-1.20, -2.02, 1.88], [3.12, -0.73, -2.07], [4.74, -0.85, -1.48], [3.56, -2.15, -0.95], [2.92, 1.87, -0.25], [3.85, 1.31, 1.27], [4.66, 1.28, -0.37], [3.54, -0.70, 0.91], [1.41, -1.66, 0.41], [1.15, -0.03, -0.67]], "lowdin_charge": [-0.083, -0.012, -0.070, -0.083, -0.096, -0.126, -0.163, -0.238, -0.217, -0.494, 0.955, 0.106, 0.123, 0.010, 0.045, 0.139, 0.079, 0.131, 0.054, 0.067, 0.067, 0.072, 0.111, 0.108, 0.117, 0.104, 0.097, 0.113, 0.112, 0.110, -0.091, -0.049]}


2.
{"formula": "C17H15FN4O2S", "method": "the ωB97M-V functional and the def2-TZVPD basis", "total_charge": 0, "e_above_lowest_ev": 0.001, "total_energy_ev": -41481.0996, "homo_lumo_gap_ev": 8.961, "homo_energy_ha": -0.3081, "elements": ["C", "O", "C", "C", "C", "C", "C", "C", "C", "N", "C", "S", "C", "C", "O", "N", "C", "C", "C", "C", "C", "C", "F", "N", "N", "H", "H", "H", "H", "H", "H", "H", "H", "H", "H", "H", "H", "H", "H", "H"], "coordinates": [[-3.30, -2.81, 1.07], [-2.18, -2.33, 0.37], [-2.26, -1.12, -0.26], [-3.41, -0.34, -0.29], [-3.42, 0.87, -0.96], [-2.29, 1.32, -1.61], [-1.14, 0.56, -1.58], [-1.10, -0.66, -0.91], [0.15, -1.37, -0.88], [1.30, -0.89, -1.34], [2.19, -1.85, -1.05], [3.92, -1.63, -1.29], [4.29, -1.26, 0.47], [3.15, -0.46, 1.07], [2.52, -0.85, 2.03], [2.91, 0.71, 0.41], [1.79, 1.53, 0.51], [0.75, 1.33, 1.41], [-0.35, 2.17, 1.41], [-0.43, 3.23, 0.53], [0.60, 3.45, -0.37], [1.68, 2.61, -0.37], [2.69, 2.82, -1.25], [1.67, -2.91, -0.46], [0.38, -2.60, -0.36], [-3.59, -2.13, 1.88], [-4.15, -2.98, 0.41], [-2.99, -3.76, 1.51], [-4.31, -0.68, 0.20], [-4.33, 1.45, -0.97], [-2.30, 2.27, -2.14], [-0.23, 0.89, -2.07], [4.40, -2.19, 1.02], [5.23, -0.70, 0.48], [3.49, 0.89, -0.40], [0.81, 0.50, 2.11], [-1.15, 1.99, 2.12], [-1.29, 3.88, 0.54], [0.57, 4.27, -1.07], [-0.28, -3.22, 0.09]], "lowdin_charge": [-0.068, -0.104, -0.207, -0.020, -0.072, -0.085, -0.024, -0.077, -0.250, 0.142, -0.721, 0.937, -0.351, -0.552, 0.078, 0.124, -0.164, -0.006, -0.085, -0.102, -0.019, -0.215, 0.063, 0.088, 0.089, 0.100, 0.099, 0.097, 0.102, 0.106, 0.106, 0.114, 0.085, 0.081, 0.127, 0.104, 0.106, 0.104, 0.119, 0.151]}


3.
-- stop --
Implementation of SACP measures within the scope of the Problem by main main performers
National Agency on Corruption Prevention
Summarized general information on Measures
№ | Name of the measure | The main implementer | Co-implementors | Performance indicator | Monitoring results (latest) | Статус |
1 | Submitting to the Cabinet of Ministers of Ukraine the Draft Law of Ukraine On Amendments to the Law of Ukraine “On Prevention of Corruption” Towards the Improvement of Select Anticorruption Mechanisms, which would, inter alia, expand the financial control measures prescribed by the Law to a specific list of officials of business entities more than 50 percent of whose authorized capital stock is owned by the state or municipality | National Agency on Corruption Prevention | The draft law has been submitted to the Parliament of Ukraine. |
The measure was implemented on time and in full
Indicators of achievement of ESR
Total number of indicators – 1
Indicators fully achieved – 0
Partially achieved indicators – 1
Indicators with a score of 0% – 0
Summarized general information about Achievement Indicators
* - Вага - програмне значення індикатора в ОСР№ | Indicators | Weight* (%) | Assessment of achievement | Evaluation rationale | Data source/information manager | |
for the year 2024 | for the year 2025 | |||||
1 |
A law has taken effect, which stipulates that the declaration obligation and financial control measures apply to: a) individuals holding full-time positions of managers, deputy managers of legal entities under public law or temporarily performing their duties, individuals holding full-time positions of heads of organizational units and/or standalone subdivisions of legal entities under public law, their deputies (35 percent); b) individuals who permanently or temporarily exercise the powers of a one-person executive body (director, general manager, etc.) and their deputies, as well as persons who are members of a collective executive body (directorate, managing board, board of directors, etc.) of a business company in which more than 50 percent of the authorized capital stock (equity) is directly or indirectly owned by the state, a state or municipal business association, a state holding company (30 percent); c) members of the NBU Council (except for the NBU Governor), individuals who are members of the supervisory board of a state bank, state enterprise or state for-profit organization, a business entity in whose authorized capital stock more than 50 percent of shares (equity) are owned by the state, a state or municipal business association, a state holding company (35 percent). |
100% | 30% | За результатами проведення І циклу поточної (щорічної) оцінки ефективності реалізації Антикорупційної стратегії на 2021-2025 роки та Державної антикорупційної програми на 2023-2025 роки встановлено, що індикатор 1 очікуваного стратегічного результату досягнуто частково з огляду на те, що у ст. 3 Закону України "Про запобігання корупції" відсутні положення, наведені у субіндикаторах "а" та ... -> |
Official printed publications Official website of the Parliament of Ukraine |